New articles on Nonlinear Sciences

[1] 2410.15109

Controlled diffusion processes in an adiabatic model of a bouncing ball

This study explores the integration of a diffusion control parameter into the chaotic dynamics of a modified bouncing ball model. By extending beyond simple elastic collisions, the model introduces elements that affect the diffusive behavior of kinetic energy, offering insights into the interplay between deterministic chaos and stochastic diffusion. The research reinterprets the bouncing ball's interactions with the surface as short-distance collisions that mimic random thermal fluctuations of particles. This refined model reveals complex dynamics, highlighting the synergistic effects between chaos and diffusion in shaping the evolution of the system.

[2] 2410.15676

Inverse scattering transform for the defocusing-defocusing coupled Hirota equations with non-parallel boundary conditions at infinity

The inverse scattering transform for the defocusing-defocusing coupled Hirota equations is strictly discussed with non-zero boundary conditions at infinity including non-parallel boundary conditions, specifically referring to the asymptotic polarization vectors. To address the non-analyticity encountered in some of the Jost eigenfunctions, the "adjoint" Lax pair is employed. The inverse problem is formulated as an appropriate matrix Riemann-Hilbert problem. A key difference between non-parallel and parallel boundary conditions lies in the asymptotic behavior of the scattering coefficients, which significantly impacts the normalization of the eigenfunctions and the properties of sectionally meromorphic matrices within the Riemann-Hilbert problem framework. When the asymptotic polarization vectors are non-orthogonal, two distinct methodologies are introduced to convert the Riemann-Hilbert problem into a series of linear algebraic-integral equations. In contrast, when the asymptotic polarization vectors are orthogonal, only one method is feasible. Ultimately, it is demonstrated that pure soliton solutions do not exist in both orthogonal and non orthogonal polarization vector cases. This study provides a comprehensive framework for analyzing the defocusing-defocusing coupled Hirota equations using the inverse scattering transform, offering new insights into the characteristics and solutions of the equations.

[3] 2410.15773

Lagrangian 1-form structure of Calogero-Moser type systems

We consider the variational principle for the Lagrangian 1-form structure for long-range models of Calogero-Moser (CM) type. The multiform variational principle involves variations with respect to both the field variables as well as the independent variables corresponding to deformations of the time-curves in a multi-time space. The ensuing generalised Euler-Lagrange (gEL) equations comprise a system of multi-time EL equations, as well as constraints from so-called `alien derivatives' and `corner equations' arising from how variations on different coordinate curves match up. The closure relation, i.e. closedness of the Lagrange 1-form on solutions of the EL system, guarantees the stationarity of the action functional under deformation of the time-curves, and hence the multidimensional consistency of the corresponding gEL system. Using this as an integrability criterion on the Lagrangian level, we apply the system to some ans\"atze on the kinetic form of the Lagrangian components, associated with models of CM type without specifying the potentials. We show that from this integrability criterion the general elliptic form of the three systems, Calogero-Moser, Ruijsenaars-Schneider, and Goldfish systems, can be derived. We extend the analysis to an associated Hamiltonian formalism, via Noether's theorem and by applying Legendre transformations. Thus, the multiform variational principle leads to a system of generalised Hamilton equations describing Hamiltonian commuting flows for the mentioned elliptic models.

[4] 2410.15915

Asymptotic behaviors and dynamics of degenerate and mixed solitons for the coupled Hirota system with strong coherent coupling effects

In this work, we study the asymptotic behaviors and dynamics of degenerate and mixed solitons for the coupled Hirota system with strong coherent coupling effects in the isotropic nonlinear medium. Using the binary Darboux transformation, we derive the solutions to represent the degenerate solitons with two eigenvalues that are conjugate to each other. We obtain three types of degenerate solitons and provide their asymptotic expressions. Notably, these degenerate solitons exhibit time-dependent velocities, and the relative distance between the two asymptotic solitons increases logarithmically with the higher-order perturbation parameter $|\varepsilon|$ increasing. We also asymptotically reveal four interaction mechanisms between a degenerate soliton and a bell-shaped soliton: (1) elastic interaction with a position shift; (2) inelastic interaction for the degenerate soliton but elastic for the bell-shaped one; (3) elastic interaction for the degenerate soliton but inelastic for the bell-shaped one; and (4) the coherent interaction during a longer interaction region and elastic interaction based on specific parameter conditions. Besides, we analyze a special degenerate vector soliton that exhibits significant coherence effects, and numerically study the relationship between the robustness of such solitons and parameter $\varepsilon$. Our results indicate that $\varepsilon$ significantly affects the coherence of these solitons, and their robustness decreases when $|\varepsilon|$ increases.

[5] 2410.15935

• These data records were left in the text by mistake:
'''
[1]
Computed, not measured: an isolated ion of composition C5H3N2O3 and charge +1 in a non-equilibrium geometry, with ωB97M-V/def2-TZVPD.

```
! wB97M-V def2-TZVPD RIJCOSX def2/J DEFGRID3
* xyz 1 1
N -0.18 -1.22 -1.60
C -1.13 -0.78 -1.12
C -1.98 -0.11 -0.23
C -1.35 0.55 0.77
C 0.10 0.66 0.89
O 0.71 1.48 1.49
C 1.06 -0.43 0.19
O 2.46 0.02 0.50
N 2.02 0.00 -0.69
O 2.33 0.32 -1.75
H -3.05 -0.12 -0.34
H -1.89 1.12 1.50
H 0.91 -1.49 0.39
*
```

The HOMO energy comes out at -15.84 eV. As for the total energy: -14341.021 eV. The value obtained for the frontier orbital gap is 9.21 eV. For the energy relative to the best compared isomer or geometry (same formula, charge and spin), the calculation gives 418.05 kJ/mol. The structure (SMILES) is N#C/C=C\C(=O)[C@@H]1O[N+]1=O. The calculation puts the max |F| at 2.47 eV Å⁻¹.

[2]
Computed, not measured: C19H21IN2Pb as an isolated structure in a non-equilibrium geometry, with ωB97M-V/def2-TZVPD.

```
! wB97M-V def2-TZVPD RIJCOSX def2/J DEFGRID3
* xyz 2 1
C 1.43 3.69 0.05
C 2.89 1.20 -0.42
H 1.21 4.16 -0.94
H 2.74 3.78 0.12
H 1.03 4.01 0.99
H 3.05 0.77 -1.35
H 3.51 2.26 -0.45
H 3.05 0.75 0.59
C -2.61 1.62 -1.59
C -3.95 1.45 -2.04
C -4.22 0.25 -2.73
C -3.21 -0.69 -2.91
H -2.35 2.50 -1.00
H -4.68 2.21 -1.84
H -5.22 0.05 -3.12
H -3.37 -1.64 -3.42
N -1.62 0.76 -1.81
C -1.90 -0.41 -2.42
C -0.79 -1.41 -2.49
N 0.39 -1.11 -1.90
C 1.35 -2.01 -1.85
C 0.06 -3.62 -3.05
C 1.26 -3.28 -2.40
H 2.29 -1.70 -1.32
H 2.09 -3.98 -2.31
C -0.97 -2.68 -3.10
H -1.91 -2.88 -3.60
H -0.07 -4.61 -3.52
Pb 0.86 1.67 -0.17
I -1.09 2.95 1.99
C 0.22 -0.17 1.14
C 0.53 -0.29 2.56
C -0.41 -0.59 3.56
C -0.06 -0.58 4.90
C 1.25 -0.23 5.29
C 2.21 0.09 4.30
C 1.87 -0.02 2.94
H -0.84 -0.07 0.90
H 0.73 -0.88 0.47
H -1.45 -0.82 3.26
H -0.76 -0.85 5.67
H 1.55 -0.20 6.32
H 3.25 0.41 4.56
H 2.65 0.13 2.15
*
```

The HOMO energy (alpha / beta) comes out at -14.50 / -14.50 eV. As for the total energy: -36349.177 eV. The value obtained for the frontier orbital gap (alpha / beta) is 3.70 / 3.74 eV. The calculation puts the max |F| at 4.93 eV Å⁻¹.

[3]
Computed, not measured: C19H15BLiN9O5 as an isolated structure in a non-equilibrium geometry, with ωB97M-V/def2-TZVPD.

```
! wB97M-V def2-TZVPD RIJCOSX def2/J DEFGRID3
* xyz -1 2
Li 0.41 1.39 -0.79
C 4.04 -0.83 -2.11
C 3.33 -1.70 -2.85
N 2.15 -2.09 -2.20
N 2.21 -1.44 -1.03
C 3.35 -0.73 -0.93
B 1.09 -1.75 0.04
N 1.27 -0.69 1.13
C 1.55 -0.94 2.37
C 1.81 0.20 3.05
C 1.69 1.21 2.08
N 1.33 0.66 0.91
N -0.37 -1.56 -0.56
C -1.37 -2.45 -0.70
C -2.50 -1.77 -1.14
C -2.06 -0.42 -1.24
N -0.76 -0.29 -0.87
N 1.22 -3.23 0.64
C 2.19 -4.18 0.40
C 1.92 -5.17 1.32
C 0.76 -4.81 2.01
N 0.31 -3.59 1.62
H 5.08 -0.42 -2.24
H 3.53 -2.15 -3.82
H 3.58 -0.24 -0.05
H 1.52 -1.97 2.76
H 1.91 0.22 4.11
H 2.00 2.24 2.19
H -1.23 -3.46 -0.56
H -3.47 -2.16 -1.33
H -2.54 0.35 -1.68
H 2.98 -3.98 -0.23
H 2.50 -6.02 1.55
H 0.24 -5.32 2.77
O -4.40 6.12 -1.58
C -3.56 5.09 -1.21
C -2.18 5.30 -1.13
C -1.39 4.23 -0.86
N -1.96 3.05 -0.52
C -3.22 2.90 -0.59
'''

Keplerian billiards in three dimensions: stability of equilibrium orbits and conditions for chaos

This work presents some results regarding three-dimensional billiards having a non-constant potential of Keplerian type inside a regular domain $D\subset \mathcal R^3$. Two models will be analysed: in the first one, only an inner Keplerian potential is present, and every time the particle encounters the boundary of $D$ is reflected back by keeping constant its tangential component to $\partial D$. The second model is a refractive billiard, where the inner Keplerian potential is coupled with a harmonic outer one; in this case, the interaction with $\partial D$ results in a generalised refraction Snell's law. In both cases, the analysis of a particular type of straight equilibrium trajectories, called \emph{homothetic}, is carried on, and their presence is linked to the topological chaoticity of the dynamics for large inner energies.

[6] 2410.15209

Modelling surface waves on shear current with quadratic depth-dependence

The currents in the ocean have a serious impact on ocean dynamics, since they affect the transport of mass and thus the distribution of salinity, nutrients and pollutants. In many physically important situations the current depends quadratic-ally on the depth. We consider a single layer of fluid and study the propagation of the surface waves in the presence of depth-dependent current with quadratic profile. We select the scale of parameters and quantities, which are typical for the Boussinesq propagation regime (long wave and small amplitude limit) and we also derive the well known KdV model for the surface waves interacting with current.

[7] 2410.15338

Global Topological Dirac Synchronization

Synchronization is a fundamental dynamical state of interacting oscillators, observed in natural biological rhythms and in the brain. Global synchronization which occurs when non-linear or chaotic oscillators placed on the nodes of a network display the same dynamics as received great attention in network theory. Here we propose and investigate Global Topological Dirac Synchronization on higher-order networks such as cell and simplicial complexes. This is a state where oscillators associated to simplices and cells of arbitrary dimension, coupled by the Topological Dirac operator, operate at unison. By combining algebraic topology with non-linear dynamics and machine learning, we derive the topological conditions under which this state exists and the dynamical conditions under which it is stable. We provide evidence of 1-dimensional simplicial complexes (networks) and 2-dimensional simplicial and cell complexes where Global Topological Dirac Synchronization can be observed. Our results point out that Global Topological Dirac Synchronization is a possible dynamical state of simplicial and cell complexes that occur only in some specific network topologies and geometries, the latter ones being determined by the weights of the higher-order networks

[8] 2410.15410

Partial suppression of chaos in relativistic 3-body problems

What comes next are molecular data, not part of the entry
____________
{
  "formula": "C43H31BiBrN4O5S2",
  "method": "ωB97M-V/def2-TZVPD",
  "homo_energy_ev": -4.29,
  "total_charge": -1,
  "total_energy_ha": -5837.45951,
  "gap_ha": 0.21150,
  "lumo_energy_ha": 0.054,
  "symbols": ["Bi", "Br", "C", "C", "C", "C", "O", "C", "C", "N", "C", "C", "C", "C", "C", "C", "C", "C", "N", "C", "C", "H", "H", "H", "H", "H", "H", "H", "H", "H", "H", "O", "C", "C", "C", "C", "C", "C", "C", "O", "N", "N", "C", "S", "C", "C", "S", "H", "H", "H", "H", "H", "H", "H", "H", "H", "O", "C", "O", "C", "C", "C", "C", "C", "C", "H", "H", "H", "H", "H", "C", "C", "C", "C", "C", "C", "C", "C", "C", "C", "H", "H", "H", "H", "H", "H", "H"],
____________

Recent numerical results seem to suggest that in certain regimes of typical particle velocities the gravitational $N-$body problem (for $3\leq N\lesssim 10^3$) is intrinsically less chaotic when the post-Newtonian (PN) force terms are included, with respect to its classical counterpart that exhibits a slightly larger maximal Lyapunov exponent $\Lambda_{\rm max}$. In this work we explore the dynamics of wildly chaotic, regular and nearly regular configurations of the 3-body problem with and without the PN corrective terms aiming at shedding some light on the behaviour of the Lyapunov spectra under the effect of said corrections. Because the interaction of the tangent-space dynamics in gravitating systems, needed to evaluate the Lyapunov exponents, becomes rapidly computationally heavy due to the complexity of the higher order force derivatives involving multiple powers of $v/c$, we introduce a technique to compute a proxy of the Lyapunov spectrum based on the time-dependent diagonalization of the inertia tensor of a cluster of trajectories in phase-space. We find that, for a broad range of orbital configurations, the relativistic 3-body problem has a smaller $\Lambda_{\rm max}$ than its classical counterpart starting with the exact same initial condition. However, the rest of the Lyapunov spectrum can be either lower or larger in the classical case, suggesting that the relativistic precession effectively reduces chaos only along one (or few) directions in phase-space. As a general trend, the dynamical entropy of the relativistic simulations as function of the rescaled speed of light always has a regime in which falls below the classical value.} We observe that, the sole analysis of $\Lambda_{\rm max}$ could induce possibly misleading conclusions on the chaoticity of systems with small (and possibly large $N$.

[9] 2410.15950

Symmetry breaking in two-dimensional turbulence induced by out-of-equilibrium fluxes

We study the self-organization of two-dimensional turbulence in a fluid with local interactions. Using simulations and theoretical arguments, we show that the out-of-equilibrium flux to small scales, corresponding to the direct cascade, imposes a constraint on the large-scale emergent flow. As a result, instead of the unique state found in other two-dimensional models, a rich phase diagram of large-scale configurations emerges. We explain what sets the boundaries between the different phases, and show that in the infinite box limit when the range of the direct cascade is kept finite, the large-scale flow exhibits spontaneous symmetry breaking.

[10] 2410.15982

State Estimation Using Sparse DEIM and Recurrent Neural Networks

Discrete Empirical Interpolation Method (DEIM) estimates a function from its pointwise incomplete observations. In particular, this method can be used to estimate the state of a dynamical system from observational data gathered by sensors. However, when the number of observations are limited, DEIM returns large estimation errors. Sparse DEIM (S-DEIM) was recently developed to address this problem by introducing a kernel vector which previous DEIM-based methods had ignored. Unfortunately, estimating the optimal kernel vector in S-DEIM is a difficult task. Here, we introduce a data-driven method to estimate this kernel vector from sparse observational time series using recurrent neural networks. Using numerical examples, we demonstrate that this machine learning approach together with S-DEIM leads to nearly optimal state estimations.

[11] 2410.16005

Precision Adaptive Hormone Control for Personalized Metastatic Prostate Cancer Treatment

With the oncologist acting as the ``game leader'', we employ a Stackelberg game-theoretic model involving multiple populations to study prostate cancer. We refine the drug dosing schedule using an empirical Bayes feed-forward analysis, based on clinical data that reflects each patient's prostate-specific drug response. Our methodology aims for a quantitative grasp of the parameter landscape of this adaptive multi-population model, focusing on arresting the growth of drug-resistant prostate cancer by promoting competition across drug-sensitive cancer cell populations. Our findings indicate that not only is it is feasible to considerably extend cancer suppression duration through careful optimization, but even transform metastatic prostate cancer into a chronic condition instead of an acute one for most patients, with supporting clinical and analytical evidence.